UK Work

Providing Advice and Support: Friends of the Horn Foundation (FOHOF) aims to provide comprehensive advice and support to disadvantaged communities and non-English speaking individuals residing in the London boroughs of Lambeth, Southwark, Merton, Wandsworth, as well as other London and UK-wide British Somali communities. This support includes assistance in areas such as education, employment, housing, healthcare, and integration into society.

Access to Mainstream Resources: FOHOF is dedicated to helping marginalized communities gain access to mainstream resources. By providing information, guidance, and advocacy, the FOHOF aims to bridge the gap and ensure equal opportunities for individuals who may face language and cultural barriers. This objective focuses on empowering community members to utilize available services, programs, and opportunities that they might otherwise struggle to access.

Inserted here: records of crystals:
<<<
Structure and simulated XRD peak list of Li2NpCrO6 (a cell relaxed with PBE+U; Cu Ka).
Lines closer than 0.1° are merged.

Main lines, in order of falling intensity (2θ from 10° to 80°):
- 23.52 deg, I = 100
- 33.28 deg, I = 69
- 23.21 deg, I = 53
- 20.00 deg, I = 52
- 20.47 deg, I = 50
- 53.61 deg, I = 27
- 58.97 deg, I = 27
- 54.06 deg, I = 21
- 39.07 deg, I = 21
- 39.83 deg, I = 21

Cell and atoms:
```
data_Li2NpCrO6
_cell_length_a 5.261
_cell_length_b 5.444
_cell_length_c 9.296
_cell_angle_alpha 90.00
_cell_angle_beta 124.45
_cell_angle_gamma 90.00
_space_group_name_H-M_alt 'P 1 21/c 1'
_space_group_IT_number 14
loop_
_space_group_symop_operation_xyz
'x,y,z'
'-x,-y,-z'
'-x,y+1/2,-z+1/2'
'x,-y+1/2,z+1/2'
loop_
_atom_site_label
_atom_site_fract_x
_atom_site_fract_y
_atom_site_fract_z
Li1 0.245 0.025 0.249
Np1 0.000 0.000 0.500
Cr1 0.500 0.000 0.000
O1 0.134 0.050 0.752
O2 0.241 0.685 0.561
O3 0.381 0.186 0.561
```


Tl2In3Hg9: simulated powder X-ray diffraction pattern (λ = 1.5418 Å (Cu Kα)), based on a cell relaxed with GGA-PBE.
Neutral-atom scattering factors, no anomalous dispersion.

Largest 10 diffraction maxima, sorted by position, 2θ from 5° to 70°:
2θ/deg	I (rel.)
26.33	46
27.96	52
28.11	57
30.85	100
33.88	63
34.24	41
34.72	61
38.46	62
44.87	42
48.94	25

Structure:
a b c (Å): 8.000 8.000 15.873
angles (deg): 90.00 90.00 120.00
Fractional coordinates of all 28 atoms:
1 Tl 0.333 0.667 0.070
2 Tl 0.333 0.667 0.430
3 Tl 0.667 0.333 0.570
4 Tl 0.667 0.333 0.930
5 In 0.049 0.802 0.750
6 In 0.198 0.248 0.750
7 In 0.248 0.049 0.250
8 In 0.752 0.951 0.750
9 In 0.802 0.752 0.250
10 In 0.951 0.198 0.250
11 Hg 0.073 0.606 0.250
12 Hg 0.100 0.779 0.567
13 Hg 0.100 0.779 0.933
14 Hg 0.221 0.321 0.567
15 Hg 0.221 0.321 0.933
16 Hg 0.321 0.100 0.067
17 Hg 0.321 0.100 0.433
18 Hg 0.394 0.467 0.250
19 Hg 0.467 0.073 0.750
20 Hg 0.533 0.927 0.250
21 Hg 0.606 0.533 0.750
22 Hg 0.679 0.900 0.567
23 Hg 0.679 0.900 0.933
24 Hg 0.779 0.679 0.067
25 Hg 0.779 0.679 0.433
26 Hg 0.900 0.221 0.067
27 Hg 0.900 0.221 0.433
28 Hg 0.927 0.394 0.750


Tl4In6Hg: simulated powder X-ray diffraction pattern (λ = 1.5418 Å (Cu Kα)), based on a cell relaxed with GGA-PBE.
Neutral-atom scattering factors, no anomalous dispersion.

Largest 10 diffraction maxima, sorted by position, 2θ from 5° to 70°:
2θ/deg	I (rel.)
18.63	14
29.45	22
31.45	18
32.37	26
32.56	100
33.75	35
37.61	15
40.00	19
50.58	14
62.59	13

Structure:
a b c (Å): 11.000 11.000 6.398
angles (deg): 90.00 90.00 119.98
Fractional coordinates of all 22 atoms:
1 Tl 0.149 0.297 0.501
2 Tl 0.149 0.851 0.500
3 Tl 0.297 0.149 0.001
4 Tl 0.333 0.667 0.320
5 Tl 0.667 0.333 0.820
6 Tl 0.703 0.851 0.501
7 Tl 0.851 0.149 0.000
8 Tl 0.851 0.703 0.001
9 In 0.010 0.505 0.722
10 In 0.187 0.375 0.004
11 In 0.187 0.813 0.003
12 In 0.375 0.187 0.504
13 In 0.495 0.505 0.724
14 In 0.495 0.990 0.722
15 In 0.505 0.010 0.222
16 In 0.505 0.495 0.224
17 In 0.625 0.813 0.004
18 In 0.813 0.187 0.503
19 In 0.813 0.625 0.504
>>>

Early Intervention and Prevention of Knife and Violent Crimes: FOHOF is committed to creating an environment where early intervention takes place before young people become involved in knife and violent crimes. The FOHOF recognizes the urgency of addressing this issue and aims to implement proactive strategies that promote community safety and reduce crime rates. By collaborating with local authorities, schools, youth organizations, and community leaders, FOHOF seeks to raise awareness, provide mentoring, and develop initiatives that deter young individuals from engaging in criminal activities.

Establishing the UK’s Only Gang Grooming Prevention Centre called NetworkED Support Centre (NSC): FOHOF has successfully established the United Kingdom’s only center, adopting a call center-style approach, that specializes in the early identification and prevention of gang grooming of young people. Through a dedicated helpline, expert staff members, and partnerships with law enforcement agencies, FOHOF strives to intervene at the earliest stages, safeguard vulnerable individuals, and disrupt the process of gang grooming. This objective aims to protect young people from the influence of gangs and provide support for their safe reintegration into society.

Addressing the Cost of Living Crisis: FOHOF is currently experiencing an overwhelming demand for support from service users facing a cost of living crisis. Recognizing the hardships faced by individuals and families in meeting basic needs such as food, housing, and utilities, the FOHOF aims to provide essential assistance, advocacy, and access to relevant resources. By partnering with local authorities, community organizations, and businesses, FOHOF endeavors to alleviate the immediate financial burdens faced by its service users and help them regain stability and self-sufficiency.

Through these objectives, Friends of the Horn Foundation CIC aims to improve the lives of disadvantaged and non-English speaking communities, tackle the issue of youth involvement in knife and violent crimes, protect young individuals from gang grooming, and address the urgent needs arising from the cost of living crisis. By providing essential advice, support, and early intervention, FOHOF seeks to foster a more inclusive, safe, and prosperous environment for all.


Parent Support and training topics:

  • Understanding the younger generation ways of thinking
  • Social media influence trends and threats
  • Bridging the gap between the older and younger generation

Youth Services/programs

  • Linking young people with role model ( from their ethnicity)
  • Identity awareness and confidence-building programs
  • Recreational programs that will change their way of thinking and perceiving things around them
  • Sports, art, music and booth camp activities
  • Employability training (equipping them skills such as Computer networking Cisco systems etc)
  • Collaborate with local businesses to try out some of these young people
  • Work with Local Authority to devise a program that will give local business rate rebates for businesses that employ young people.

Other areas or issues we deal with

  • Housing
  • All sorts of benefit issues support including form filling and follow up 
  • Educational 
  • Debt problems 
  • Accessing mainstream resources
  • Mental Health
  • Counseling